### Contents
-- begin --
# 1
Computed, not measured: 3 unconnected molecules or ions with the total composition C23H45F2N2O6P2, with ωB97M-V/def2-TZVPD.

Structure (XYZ):
```
80
C23H45F2N2O6P2 ωB97M-V/def2-TZVPD
C 2.16 -3.77 -0.75
P 0.37 -4.02 -0.61
O 0.20 -5.46 0.14
P -0.14 -2.57 1.01
F 0.01 -3.32 2.36
C 0.97 -1.19 1.08
C 0.96 -0.31 -0.17
O 1.95 -0.01 -0.72
O -0.29 0.11 -0.52
C -1.88 -2.05 1.00
C -2.63 -2.11 -0.30
O -3.79 -2.19 -0.36
F -1.86 -2.00 -1.38
H 2.34 -2.69 -0.79
H 2.45 -4.18 -1.71
H 2.71 -4.22 0.07
H -0.67 -5.52 0.55
H 0.74 -0.56 1.95
H 1.97 -1.58 1.25
H -0.54 -0.30 -1.36
H -1.97 -1.03 1.36
H -2.39 -2.70 1.70
C 0.66 3.22 6.74
C 0.87 2.03 5.78
C 1.12 0.75 6.58
C 2.51 0.68 7.20
C 3.58 0.91 6.13
C 3.38 2.20 5.34
N 1.98 2.33 4.84
O 1.84 1.56 3.79
C 3.74 3.41 6.22
C 4.35 2.24 4.17
C -0.45 1.90 5.02
H 1.47 3.37 7.45
H 0.51 4.14 6.18
H -0.24 3.04 7.34
H 0.99 -0.12 5.92
H 0.35 0.66 7.35
H 2.61 1.41 8.01
H 2.66 -0.29 7.66
H 4.57 0.92 6.59
H 3.57 0.06 5.44
H 3.37 4.34 5.79
H 4.83 3.49 6.29
H 3.38 3.33 7.25
H 4.25 1.37 3.52
H 5.37 2.25 4.54
H 4.20 3.14 3.56
H -0.64 2.78 4.40
H -1.27 1.80 5.73
H -0.46 1.02 4.38
C -1.81 1.90 -5.78
C -1.52 0.67 -6.67
C -2.72 0.38 -7.57
C -3.90 -0.25 -6.82
C -3.46 -1.49 -6.05
C -2.28 -1.23 -5.12
N -1.17 -0.52 -5.83
O -0.48 -1.37 -6.52
C -2.76 -0.42 -3.90
C -1.76 -2.55 -4.57
C -0.33 1.07 -7.53
H -2.72 1.82 -5.19
H -0.98 2.09 -5.11
H -1.94 2.78 -6.41
H -2.41 -0.31 -8.36
H -3.04 1.30 -8.06
H -4.36 0.48 -6.15
H -4.68 -0.53 -7.53
H -4.29 -1.89 -5.47
H -3.18 -2.27 -6.77
H -1.91 0.01 -3.36
H -3.30 -1.07 -3.21
H -3.45 0.38 -4.14
H -1.48 -3.24 -5.35
H -2.54 -3.02 -3.97
H -0.88 -2.39 -3.93
H 0.56 1.23 -6.92
H -0.56 2.00 -8.05
H -0.10 0.32 -8.28
```

Results
- net charge = +1
- 2S+1 = 3
- strongest force on any atom (Eh/bohr) = 0.056
- E_tot (eV) = -63849.9389
- molecular weight (g mol⁻¹) = 545.57

Electronic structure analysis, Löwdin charges in units of e: -0.25 0.82 -0.30 0.85 -0.14 -0.17 -0.55 0.19 0.08 -0.14 -0.53 0.23 0.05 0.03 0.06 0.06 0.06 0.13 0.12 0.11 0.13 0.12 -0.03 -0.50 -0.13 -0.17 -0.13 -0.50 -0.06 -0.06 -0.03 -0.04 -0.05 0.06 0.10 0.09 0.12 0.13 0.11 0.11 0.13 0.12 0.10 0.09 0.06 0.07 0.09 0.10 0.09 0.09 0.06 -0.03 -0.50 -0.13 -0.17 -0.13 -0.49 -0.09 -0.02 -0.03 -0.05 -0.04 0.06 0.09 0.09 0.13 0.13 0.10 0.12 0.13 0.13 0.08 0.07 0.07 0.08 0.08 0.08 0.09 0.09 0.08

---

# 2
Computed, not measured: 3 unconnected molecules or ions with the total composition C23H45N3O6P, with ωB97M-V/def2-TZVPD.

Structure (XYZ):
```
78
C23H45N3O6P ωB97M-V/def2-TZVPD
C -0.97 -5.26 -0.72
C -0.63 -4.18 -0.33
C -0.15 -2.83 0.01
C -1.34 -1.99 0.53
C -2.64 -2.22 -0.25
P -3.79 -0.81 -0.32
O -4.18 -0.52 -1.70
O -5.08 -1.18 0.57
C -6.27 -1.52 -0.15
C -6.19 -2.87 -0.88
O -3.07 0.38 0.45
C -3.07 1.67 -0.21
C -1.91 2.48 0.38
C 0.95 -2.86 1.08
C 2.28 -3.47 0.60
C 3.46 -2.61 1.07
C 2.45 -4.84 1.29
N 2.30 -3.75 -0.86
O 3.42 -4.23 -1.26
C 1.77 -2.70 -1.74
C 2.75 -1.56 -2.01
C 1.50 -3.39 -3.11
C 0.43 -2.12 -1.24
H -1.47 -6.08 -1.16
H -1.01 -0.96 0.53
H -1.50 -2.29 1.57
H -3.18 -3.02 0.24
H -2.48 -2.53 -1.28
H -7.04 -1.63 0.61
H -6.60 -0.73 -0.81
H -5.16 -3.18 -1.03
H -6.65 -2.79 -1.87
H -6.72 -3.64 -0.33
H -2.91 1.58 -1.28
H -4.00 2.17 0.04
H -1.03 2.28 -0.24
H -2.08 3.55 0.32
H -1.65 2.14 1.38
H 1.10 -1.81 1.36
H 0.63 -3.39 1.97
H 3.35 -1.56 0.79
H 3.46 -2.64 2.16
H 4.41 -3.01 0.73
H 2.21 -4.77 2.35
H 1.73 -5.53 0.85
H 3.46 -5.20 1.12
H 2.42 -1.04 -2.91
H 2.77 -0.83 -1.21
H 3.75 -1.94 -2.21
H 0.68 -2.92 -3.64
H 2.40 -3.40 -3.72
H 1.24 -4.43 -2.93
H -0.34 -2.09 -2.00
H 0.62 -1.09 -0.92
C 4.75 2.09 2.24
C 4.38 1.68 0.84
O 3.24 1.36 0.53
N 5.37 1.66 -0.09
C 6.77 2.00 0.08
H 3.85 2.05 2.86
H 5.49 1.41 2.66
H 5.13 3.11 2.25
H 5.05 1.38 -1.01
H 7.03 2.83 -0.59
H 7.39 1.14 -0.18
H 6.98 2.29 1.10
C -3.21 6.18 1.24
C -1.73 6.46 1.07
O -0.88 5.62 1.31
N -1.38 7.69 0.63
C -2.24 8.81 0.30
H -3.33 5.16 1.60
H -3.65 6.86 1.97
H -3.73 6.28 0.29
H -0.38 7.82 0.54
H -2.08 9.10 -0.74
H -2.00 9.67 0.93
H -3.29 8.56 0.44
```

Results
- 2S+1 = 2
-- stop --

### Activity
Could you retype the whole of the lines above without altering anything?

### Solution
# 1
Computed, not measured: 3 unconnected molecules or ions with the total composition C23H45F2N2O6P2, with ωB97M-V/def2-TZVPD.

Structure (XYZ):
```
80
C23H45F2N2O6P2 ωB97M-V/def2-TZVPD
C 2.16 -3.77 -0.75
P 0.37 -4.02 -0.61
O 0.20 -5.46 0.14
P -0.14 -2.57 1.01
F 0.01 -3.32 2.36
C 0.97 -1.19 1.08
C 0.96 -0.31 -0.17
O 1.95 -0.01 -0.72
O -0.29 0.11 -0.52
C -1.88 -2.05 1.00
C -2.63 -2.11 -0.30
O -3.79 -2.19 -0.36
F -1.86 -2.00 -1.38
H 2.34 -2.69 -0.79
H 2.45 -4.18 -1.71
H 2.71 -4.22 0.07
H -0.67 -5.52 0.55
H 0.74 -0.56 1.95
H 1.97 -1.58 1.25
H -0.54 -0.30 -1.36
H -1.97 -1.03 1.36
H -2.39 -2.70 1.70
C 0.66 3.22 6.74
C 0.87 2.03 5.78
C 1.12 0.75 6.58
C 2.51 0.68 7.20
C 3.58 0.91 6.13
C 3.38 2.20 5.34
N 1.98 2.33 4.84
O 1.84 1.56 3.79
C 3.74 3.41 6.22
C 4.35 2.24 4.17
C -0.45 1.90 5.02
H 1.47 3.37 7.45
H 0.51 4.14 6.18
H -0.24 3.04 7.34
H 0.99 -0.12 5.92
H 0.35 0.66 7.35
H 2.61 1.41 8.01
H 2.66 -0.29 7.66
H 4.57 0.92 6.59
H 3.57 0.06 5.44
H 3.37 4.34 5.79
H 4.83 3.49 6.29
H 3.38 3.33 7.25
H 4.25 1.37 3.52
H 5.37 2.25 4.54
H 4.20 3.14 3.56
H -0.64 2.78 4.40
H -1.27 1.80 5.73
H -0.46 1.02 4.38
C -1.81 1.90 -5.78
C -1.52 0.67 -6.67
C -2.72 0.38 -7.57
C -3.90 -0.25 -6.82
C -3.46 -1.49 -6.05
C -2.28 -1.23 -5.12
N -1.17 -0.52 -5.83
O -0.48 -1.37 -6.52
C -2.76 -0.42 -3.90
C -1.76 -2.55 -4.57
C -0.33 1.07 -7.53
H -2.72 1.82 -5.19
H -0.98 2.09 -5.11
H -1.94 2.78 -6.41
H -2.41 -0.31 -8.36
H -3.04 1.30 -8.06
H -4.36 0.48 -6.15
H -4.68 -0.53 -7.53
H -4.29 -1.89 -5.47
H -3.18 -2.27 -6.77
H -1.91 0.01 -3.36
H -3.30 -1.07 -3.21
H -3.45 0.38 -4.14
H -1.48 -3.24 -5.35
H -2.54 -3.02 -3.97
H -0.88 -2.39 -3.93
H 0.56 1.23 -6.92
H -0.56 2.00 -8.05
H -0.10 0.32 -8.28
```

Results
- net charge = +1
- 2S+1 = 3
- strongest force on any atom (Eh/bohr) = 0.056
- E_tot (eV) = -63849.9389
- molecular weight (g mol⁻¹) = 545.57

Electronic structure analysis, Löwdin charges in units of e: -0.25 0.82 -0.30 0.85 -0.14 -0.17 -0.55 0.19 0.08 -0.14 -0.53 0.23 0.05 0.03 0.06 0.06 0.06 0.13 0.12 0.11 0.13 0.12 -0.03 -0.50 -0.13 -0.17 -0.13 -0.50 -0.06 -0.06 -0.03 -0.04 -0.05 0.06 0.10 0.09 0.12 0.13 0.11 0.11 0.13 0.12 0.10 0.09 0.06 0.07 0.09 0.10 0.09 0.09 0.06 -0.03 -0.50 -0.13 -0.17 -0.13 -0.49 -0.09 -0.02 -0.03 -0.05 -0.04 0.06 0.09 0.09 0.13 0.13 0.10 0.12 0.13 0.13 0.08 0.07 0.07 0.08 0.08 0.08 0.09 0.09 0.08

---

# 2
Computed, not measured: 3 unconnected molecules or ions with the total composition C23H45N3O6P, with ωB97M-V/def2-TZVPD.

Structure (XYZ):
```
78
C23H45N3O6P ωB97M-V/def2-TZVPD
C -0.97 -5.26 -0.72
C -0.63 -4.18 -0.33
C -0.15 -2.83 0.01
C -1.34 -1.99 0.53
C -2.64 -2.22 -0.25
P -3.79 -0.81 -0.32
O -4.18 -0.52 -1.70
O -5.08 -1.18 0.57
C -6.27 -1.52 -0.15
C -6.19 -2.87 -0.88
O -3.07 0.38 0.45
C -3.07 1.67 -0.21
C -1.91 2.48 0.38
C 0.95 -2.86 1.08
C 2.28 -3.47 0.60
C 3.46 -2.61 1.07
C 2.45 -4.84 1.29
N 2.30 -3.75 -0.86
O 3.42 -4.23 -1.26
C 1.77 -2.70 -1.74
C 2.75 -1.56 -2.01
C 1.50 -3.39 -3.11
C 0.43 -2.12 -1.24
H -1.47 -6.08 -1.16
H -1.01 -0.96 0.53
H -1.50 -2.29 1.57
H -3.18 -3.02 0.24
H -2.48 -2.53 -1.28
H -7.04 -1.63 0.61
H -6.60 -0.73 -0.81
H -5.16 -3.18 -1.03
H -6.65 -2.79 -1.87
H -6.72 -3.64 -0.33
H -2.91 1.58 -1.28
H -4.00 2.17 0.04
H -1.03 2.28 -0.24
H -2.08 3.55 0.32
H -1.65 2.14 1.38
H 1.10 -1.81 1.36
H 0.63 -3.39 1.97
H 3.35 -1.56 0.79
H 3.46 -2.64 2.16
H 4.41 -3.01 0.73
H 2.21 -4.77 2.35
H 1.73 -5.53 0.85
H 3.46 -5.20 1.12
H 2.42 -1.04 -2.91
H 2.77 -0.83 -1.21
H 3.75 -1.94 -2.21
H 0.68 -2.92 -3.64
H 2.40 -3.40 -3.72
H 1.24 -4.43 -2.93
H -0.34 -2.09 -2.00
H 0.62 -1.09 -0.92
C 4.75 2.09 2.24
C 4.38 1.68 0.84
O 3.24 1.36 0.53
N 5.37 1.66 -0.09
C 6.77 2.00 0.08
H 3.85 2.05 2.86
H 5.49 1.41 2.66
H 5.13 3.11 2.25
H 5.05 1.38 -1.01
H 7.03 2.83 -0.59
H 7.39 1.14 -0.18
H 6.98 2.29 1.10
C -3.21 6.18 1.24
C -1.73 6.46 1.07
O -0.88 5.62 1.31
N -1.38 7.69 0.63
C -2.24 8.81 0.30
H -3.33 5.16 1.60
H -3.65 6.86 1.97
H -3.73 6.28 0.29
H -0.38 7.82 0.54
H -2.08 9.10 -0.74
H -2.00 9.67 0.93
H -3.29 8.56 0.44
```

Results
- 2S+1 = 2